-- begin --
Below is crystalline Nd2SmPaRu2 at its relaxed geometry, with properties calculated at the GGA-PBE level.

Output
crystal system: orthorhombic
E_form: -1.61 eV per formula unit
volume: 328.5 Å³ per cell

Cell: 6.8661 7.0590 8.3781 Å, 114.92 114.19 90.00°
Atoms (fractional coordinates):
Nd: 0.6950 0.9075 0.3900
Nd: 0.1950 0.4825 0.3900
Nd: 0.8050 0.5175 0.6100
Nd: 0.3050 0.0925 0.6100
Sm: 0.2500 0.0000 0.0000
Sm: 0.7500 0.0000 0.0000
Pa: 0.7500 0.5000 0.0000
Pa: 0.2500 0.5000 0.0000
Ru: 0.4047 0.6115 0.8094
Ru: 0.5953 0.3885 0.1906
Ru: 0.0953 0.8020 0.1906
Ru: 0.9047 0.1980 0.8094


(1)
AcCeTeSe2: relaxed, PBE.

The space group is I4mm (No. 107) and the conventional cell measures 4.7872, 4.7872 and 14.7727 Å, with angles of 90.00, 90.00 and 90.00 degrees. The inequivalent atoms are Ac at (0.0000, 0.0000, 0.0000), Ce at (0.0000, 0.0000, 0.2698), Te at (0.0000, 0.0000, 0.6268) and Se at (0.0000, 0.5000, 0.3750).

(2)
AcCeTe2Se: relaxed, PBE.

The space group is P4/nmm (No. 129, origin choice 2) and the conventional cell measures 4.5829, 4.5829 and 16.1309 Å, with angles of 90.00, 90.00 and 90.00 degrees. The inequivalent atoms are Ac at (0.2500, 0.2500, 0.1313), Ce at (0.2500, 0.2500, 0.5966), Te at (0.2500, 0.2500, 0.3955), Te at (0.2500, 0.2500, 0.7904) and Se at (0.2500, 0.7500, 0.0000).

Values for electronic total energy, eV/atom, ordered as above
-5.5067; -5.4438
Values for energy relative to the elements, uncorrected, eV per formula unit, ordered as above
-7.38; -7.41


SbIrN3: relaxed, PBE-GGA.

CIF file:
```
data_SbIrN3
_chemical_formula_sum 'Sb1 Ir1 N3'
_cell_length_a 3.9669
_cell_length_b 3.9669
_cell_length_c 3.9669
_cell_angle_alpha 90.00
_cell_angle_beta 90.00
_cell_angle_gamma 90.00
_space_group_name_H-M_alt 'P m -3 m'
_space_group_IT_number 221
_space_group_name_Hall '-P 4 2 3'
loop_
_atom_site_label
_atom_site_type_symbol
_atom_site_fract_x
_atom_site_fract_y
_atom_site_fract_z
Sb1 Sb 0.0000 0.0000 0.0000
Ir1 Ir 0.5000 0.5000 0.5000
N1 N 0.0000 0.0000 0.5000
```

Computed properties:
Final energy, eV/atom: -5.47
Energy relative to the elements, uncorrected, eV/atom: 2.12


First-principles (PBEsol) data for SrAuBr2 after structural relaxation, as listed in Alexandria via LeMat-Bulk.

abc: 4.3018 4.3018 26.6325
angles: 90.00 90.00 120.00
Last column: nearest neighbours and their distance in Å.
Element x y z (fractional)
Sr: 0.0000 0.0000 0.0000  6 Br 3.02
Sr: 0.3333 0.6667 0.6667  6 Br 3.02
Sr: 0.6667 0.3333 0.3333  6 Br 3.02
Au: 0.0000 0.0000 0.5000  2 Br 2.73
Au: 0.3333 0.6667 0.1667  2 Br 2.73
Au: 0.6667 0.3333 0.8333  2 Br 2.73
Br: 0.0000 0.0000 0.3976  1 Au 2.73, 3 Sr 3.02
Br: 0.0000 0.0000 0.6024  1 Au 2.73, 3 Sr 3.02
Br: 0.3333 0.6667 0.0643  1 Au 2.73, 3 Sr 3.02
Br: 0.3333 0.6667 0.2690  1 Au 2.73, 3 Sr 3.02
Br: 0.6667 0.3333 0.7310  1 Au 2.73, 3 Sr 3.02
Br: 0.6667 0.3333 0.9357  1 Au 2.73, 3 Sr 3.02

Summary:
Polymorph energy (0 for the lowest one)   212 meV/atom
Total magnetic moment   0.00 μB/f.u.
Raw formation energy   -820 meV/atom
Space-group type   R-3m


First-principles (GGA-PBE) data for TmPaZnNi after structural relaxation, as listed in Alexandria.
-- stop --
What is needed: give back all of the calculation results earlier on character by character.
Below is crystalline Nd2SmPaRu2 at its relaxed geometry, with properties calculated at the GGA-PBE level.

Output
crystal system: orthorhombic
E_form: -1.61 eV per formula unit
volume: 328.5 Å³ per cell

Cell: 6.8661 7.0590 8.3781 Å, 114.92 114.19 90.00°
Atoms (fractional coordinates):
Nd: 0.6950 0.9075 0.3900
Nd: 0.1950 0.4825 0.3900
Nd: 0.8050 0.5175 0.6100
Nd: 0.3050 0.0925 0.6100
Sm: 0.2500 0.0000 0.0000
Sm: 0.7500 0.0000 0.0000
Pa: 0.7500 0.5000 0.0000
Pa: 0.2500 0.5000 0.0000
Ru: 0.4047 0.6115 0.8094
Ru: 0.5953 0.3885 0.1906
Ru: 0.0953 0.8020 0.1906
Ru: 0.9047 0.1980 0.8094


(1)
AcCeTeSe2: relaxed, PBE.

The space group is I4mm (No. 107) and the conventional cell measures 4.7872, 4.7872 and 14.7727 Å, with angles of 90.00, 90.00 and 90.00 degrees. The inequivalent atoms are Ac at (0.0000, 0.0000, 0.0000), Ce at (0.0000, 0.0000, 0.2698), Te at (0.0000, 0.0000, 0.6268) and Se at (0.0000, 0.5000, 0.3750).

(2)
AcCeTe2Se: relaxed, PBE.

The space group is P4/nmm (No. 129, origin choice 2) and the conventional cell measures 4.5829, 4.5829 and 16.1309 Å, with angles of 90.00, 90.00 and 90.00 degrees. The inequivalent atoms are Ac at (0.2500, 0.2500, 0.1313), Ce at (0.2500, 0.2500, 0.5966), Te at (0.2500, 0.2500, 0.3955), Te at (0.2500, 0.2500, 0.7904) and Se at (0.2500, 0.7500, 0.0000).

Values for electronic total energy, eV/atom, ordered as above
-5.5067; -5.4438
Values for energy relative to the elements, uncorrected, eV per formula unit, ordered as above
-7.38; -7.41


SbIrN3: relaxed, PBE-GGA.

CIF file:
```
data_SbIrN3
_chemical_formula_sum 'Sb1 Ir1 N3'
_cell_length_a 3.9669
_cell_length_b 3.9669
_cell_length_c 3.9669
_cell_angle_alpha 90.00
_cell_angle_beta 90.00
_cell_angle_gamma 90.00
_space_group_name_H-M_alt 'P m -3 m'
_space_group_IT_number 221
_space_group_name_Hall '-P 4 2 3'
loop_
_atom_site_label
_atom_site_type_symbol
_atom_site_fract_x
_atom_site_fract_y
_atom_site_fract_z
Sb1 Sb 0.0000 0.0000 0.0000
Ir1 Ir 0.5000 0.5000 0.5000
N1 N 0.0000 0.0000 0.5000
```

Computed properties:
Final energy, eV/atom: -5.47
Energy relative to the elements, uncorrected, eV/atom: 2.12


First-principles (PBEsol) data for SrAuBr2 after structural relaxation, as listed in Alexandria via LeMat-Bulk.

abc: 4.3018 4.3018 26.6325
angles: 90.00 90.00 120.00
Last column: nearest neighbours and their distance in Å.
Element x y z (fractional)
Sr: 0.0000 0.0000 0.0000  6 Br 3.02
Sr: 0.3333 0.6667 0.6667  6 Br 3.02
Sr: 0.6667 0.3333 0.3333  6 Br 3.02
Au: 0.0000 0.0000 0.5000  2 Br 2.73
Au: 0.3333 0.6667 0.1667  2 Br 2.73
Au: 0.6667 0.3333 0.8333  2 Br 2.73
Br: 0.0000 0.0000 0.3976  1 Au 2.73, 3 Sr 3.02
Br: 0.0000 0.0000 0.6024  1 Au 2.73, 3 Sr 3.02
Br: 0.3333 0.6667 0.0643  1 Au 2.73, 3 Sr 3.02
Br: 0.3333 0.6667 0.2690  1 Au 2.73, 3 Sr 3.02
Br: 0.6667 0.3333 0.7310  1 Au 2.73, 3 Sr 3.02
Br: 0.6667 0.3333 0.9357  1 Au 2.73, 3 Sr 3.02

Summary:
Polymorph energy (0 for the lowest one)   212 meV/atom
Total magnetic moment   0.00 μB/f.u.
Raw formation energy   -820 meV/atom
Space-group type   R-3m


First-principles (GGA-PBE) data for TmPaZnNi after structural relaxation, as listed in Alexandria.